**Work order**
Repeat all of the block further below without additions.

**Listing**
'''
This record from Materials Project describes an optimized crystal structure of MgMnV2O6. The functional is PBE+U.

The structure in POSCAR format:
```
MgMnV2O6
1.0
4.805 -1.973 0.000
4.805 1.973 0.000
-2.952 0.000 6.034
Mg Mn V O
1 1 2 6
Direct
0.000 0.000 0.000
0.516 0.516 0.705
0.341 0.341 0.135
0.718 0.718 0.374
0.176 0.176 0.881
0.228 0.228 0.320
0.508 0.508 0.029
0.556 0.556 0.433
0.848 0.848 0.175
0.884 0.884 0.651
```

As for the energy above the most stable polymorph in this dataset: 0.0450 eV/atom. Its density is 4.02 g/cm3. The space group is No. 8.

---

This record from Materials Project describes an optimized crystal structure of MgMn2V4O12. The functional is PBE+U.

The structure in POSCAR format:
```
MgMn2V4O12
1.0
5.786 0.000 0.000
2.245 6.759 0.000
2.246 0.570 6.739
Mg Mn V O
1 2 4 12
Direct
0.000 0.000 0.000
0.000 0.354 0.645
0.500 0.177 0.823
0.050 0.867 0.548
0.445 0.646 0.942
0.556 0.056 0.355
0.950 0.454 0.132
0.009 0.642 0.645
0.088 0.271 0.945
0.112 0.666 0.050
0.381 0.882 0.417
0.410 0.894 0.857
0.420 0.227 0.531
0.580 0.469 0.773
0.592 0.142 0.107
0.619 0.584 0.117
0.888 0.949 0.337
0.913 0.056 0.729
0.991 0.359 0.357
```

Its density is 3.34 g/cm3. The space group is No. 1.

---

This record from Materials Project describes an optimized crystal structure of Mg6MnVO8. The functional is PBE+U.

The structure in POSCAR format:
```
Mg6MnVO8
1.0
4.328 0.000 0.000
0.000 4.328 0.000
0.000 0.000 8.617
Mg Mn V O
6 1 1 8
Direct
0.000 0.000 0.000
0.000 0.500 0.247
0.000 0.500 0.753
0.500 0.000 0.247
0.500 0.000 0.753
0.500 0.500 0.000
0.000 0.000 0.500
0.500 0.500 0.500
0.000 0.000 0.243
0.000 0.000 0.757
0.000 0.500 0.000
0.000 0.500 0.500
0.500 0.000 0.000
0.500 0.000 0.500
0.500 0.500 0.245
0.500 0.500 0.755
```

Its density is 3.91 g/cm3. The space group is No. 123.

---

This record from Materials Project describes an optimized crystal structure of MgMnV5O12. The functional is PBE+U.

The structure in POSCAR format:
```
MgMnV5O12
1.0
5.334 -4.463 0.000
5.334 4.463 0.000
-2.191 0.000 5.405
Mg Mn V O
1 1 5 12
Direct
0.000 0.000 0.000
0.799 0.201 0.500
0.111 0.468 0.007
0.335 0.083 0.491
0.532 0.889 0.993
0.638 0.362 0.000
0.917 0.665 0.509
0.033 0.686 0.837
0.082 0.630 0.323
0.096 0.205 0.471
0.314 0.967 0.163
0.359 0.378 0.033
0.370 0.918 0.677
0.522 0.248 0.614
0.622 0.641 0.967
0.724 0.070 0.088
0.752 0.478 0.386
0.795 0.904 0.529
0.930 0.276 0.912
```

As for the energy above the most stable polymorph in this dataset: 0.0493 eV/atom. Its density is 3.39 g/cm3. The space group is No. 5.

---

no.,energy of formation from the pure elements (eV/atom),calculated total energy (eV/cell)
1,-2.430,-73.7
2,-2.378,-142.4
3,-2.770,-102.9
4,-2.394,-142.6

----------

! Na2MnO2 (PBE+U, relaxed); values from VASP
&SYSTEM
  ibrav = 0, nat = 20, ntyp = 3
/
ATOMIC_SPECIES
Na 22.99 Na.upf
O 16.00 O.upf
Mn 54.94 Mn.upf
ATOMIC_POSITIONS angstrom
Na 0.6072 -5.7904 2.8665
O 1.6828 -5.2875 5.7340
Na -0.5817 -5.7763 -0.0007
Na 2.3456 -7.4906 5.7338
O 4.5822 -7.9902 5.7339
O 1.6830 -5.2881 -0.0003
Mn 2.9276 -4.4336 1.4604
Mn 2.9274 -4.4331 7.1949
Mn 2.9285 -4.4320 -1.4614
O 4.1731 -3.5775 -0.0006
Na 3.5102 -1.3746 -0.0002
Na 5.2488 -3.0745 2.8667
Na 6.4375 -3.0887 5.7339
O 1.2737 -0.8750 -0.0003
O 4.2016 -5.3074 2.8661
Mn 2.9283 -4.4314 4.2728
O 1.6543 -3.5576 2.8669
Na 0.6068 -3.0727 0.0000
Na 5.2492 -5.7924 5.7336
O 4.1729 -3.5770 5.7337
CELL_PARAMETERS angstrom
5.8310 -0.0166 -0.0002
2.9278 -4.4320 8.6010
-2.9029 -4.4165 -2.8674
! formation enthalpy at 0 K	-1.66	eV/atom
'''

**Response**
This record from Materials Project describes an optimized crystal structure of MgMnV2O6. The functional is PBE+U.

The structure in POSCAR format:
```
MgMnV2O6
1.0
4.805 -1.973 0.000
4.805 1.973 0.000
-2.952 0.000 6.034
Mg Mn V O
1 1 2 6
Direct
0.000 0.000 0.000
0.516 0.516 0.705
0.341 0.341 0.135
0.718 0.718 0.374
0.176 0.176 0.881
0.228 0.228 0.320
0.508 0.508 0.029
0.556 0.556 0.433
0.848 0.848 0.175
0.884 0.884 0.651
```

As for the energy above the most stable polymorph in this dataset: 0.0450 eV/atom. Its density is 4.02 g/cm3. The space group is No. 8.

---

This record from Materials Project describes an optimized crystal structure of MgMn2V4O12. The functional is PBE+U.

The structure in POSCAR format:
```
MgMn2V4O12
1.0
5.786 0.000 0.000
2.245 6.759 0.000
2.246 0.570 6.739
Mg Mn V O
1 2 4 12
Direct
0.000 0.000 0.000
0.000 0.354 0.645
0.500 0.177 0.823
0.050 0.867 0.548
0.445 0.646 0.942
0.556 0.056 0.355
0.950 0.454 0.132
0.009 0.642 0.645
0.088 0.271 0.945
0.112 0.666 0.050
0.381 0.882 0.417
0.410 0.894 0.857
0.420 0.227 0.531
0.580 0.469 0.773
0.592 0.142 0.107
0.619 0.584 0.117
0.888 0.949 0.337
0.913 0.056 0.729
0.991 0.359 0.357
```

Its density is 3.34 g/cm3. The space group is No. 1.

---

This record from Materials Project describes an optimized crystal structure of Mg6MnVO8. The functional is PBE+U.

The structure in POSCAR format:
```
Mg6MnVO8
1.0
4.328 0.000 0.000
0.000 4.328 0.000
0.000 0.000 8.617
Mg Mn V O
6 1 1 8
Direct
0.000 0.000 0.000
0.000 0.500 0.247
0.000 0.500 0.753
0.500 0.000 0.247
0.500 0.000 0.753
0.500 0.500 0.000
0.000 0.000 0.500
0.500 0.500 0.500
0.000 0.000 0.243
0.000 0.000 0.757
0.000 0.500 0.000
0.000 0.500 0.500
0.500 0.000 0.000
0.500 0.000 0.500
0.500 0.500 0.245
0.500 0.500 0.755
```

Its density is 3.91 g/cm3. The space group is No. 123.

---

This record from Materials Project describes an optimized crystal structure of MgMnV5O12. The functional is PBE+U.

The structure in POSCAR format:
```
MgMnV5O12
1.0
5.334 -4.463 0.000
5.334 4.463 0.000
-2.191 0.000 5.405
Mg Mn V O
1 1 5 12
Direct
0.000 0.000 0.000
0.799 0.201 0.500
0.111 0.468 0.007
0.335 0.083 0.491
0.532 0.889 0.993
0.638 0.362 0.000
0.917 0.665 0.509
0.033 0.686 0.837
0.082 0.630 0.323
0.096 0.205 0.471
0.314 0.967 0.163
0.359 0.378 0.033
0.370 0.918 0.677
0.522 0.248 0.614
0.622 0.641 0.967
0.724 0.070 0.088
0.752 0.478 0.386
0.795 0.904 0.529
0.930 0.276 0.912
```

As for the energy above the most stable polymorph in this dataset: 0.0493 eV/atom. Its density is 3.39 g/cm3. The space group is No. 5.

---

no.,energy of formation from the pure elements (eV/atom),calculated total energy (eV/cell)
1,-2.430,-73.7
2,-2.378,-142.4
3,-2.770,-102.9
4,-2.394,-142.6

----------

! Na2MnO2 (PBE+U, relaxed); values from VASP
&SYSTEM
  ibrav = 0, nat = 20, ntyp = 3
/
ATOMIC_SPECIES
Na 22.99 Na.upf
O 16.00 O.upf
Mn 54.94 Mn.upf
ATOMIC_POSITIONS angstrom
Na 0.6072 -5.7904 2.8665
O 1.6828 -5.2875 5.7340
Na -0.5817 -5.7763 -0.0007
Na 2.3456 -7.4906 5.7338
O 4.5822 -7.9902 5.7339
O 1.6830 -5.2881 -0.0003
Mn 2.9276 -4.4336 1.4604
Mn 2.9274 -4.4331 7.1949
Mn 2.9285 -4.4320 -1.4614
O 4.1731 -3.5775 -0.0006
Na 3.5102 -1.3746 -0.0002
Na 5.2488 -3.0745 2.8667
Na 6.4375 -3.0887 5.7339
O 1.2737 -0.8750 -0.0003
O 4.2016 -5.3074 2.8661
Mn 2.9283 -4.4314 4.2728
O 1.6543 -3.5576 2.8669
Na 0.6068 -3.0727 0.0000
Na 5.2492 -5.7924 5.7336
O 4.1729 -3.5770 5.7337
CELL_PARAMETERS angstrom
5.8310 -0.0166 -0.0002
2.9278 -4.4320 8.6010
-2.9029 -4.4165 -2.8674
! formation enthalpy at 0 K	-1.66	eV/atom